Settled in: Mariella Siafara

People & ideas at Deutsche Börse

Release date: 12 Jan 2023

In our “Settled in” series, our colleagues, who have decided to start their careers at Deutsche Börse Group share their journeys with us. This time, Mariella Siafara from Product Marketing at Clearstream talks about how her internship prepared her for her full-time employment and what she values about her experience. 

Mariella Siafara

How did the recruitment internship in HR help you succeed in your current role? 

My current role in Product Marketing supports several teams by quickly providing public information to answer questions about Clearstream’s business that they can then share with clients, vendors and other parties. This is mainly done through due diligence questionnaires and requests for proposal. It is based on knowledge and information derived from every team within Clearstream. 

In the HR recruitment team, I found roles for other interns in teams throughout the Luxembourg office and this immediately gave me access to a comprehensive internal network. I met many hiring managers and colleagues whom I could rely on even after I changed roles. Building a network and developing my communication skills gave me a sense of confidence and independency that is vital when starting a new role. 

Where do you see yourself in the future? 

Deutsche Börse Group is the place and employer for me. It’s very motivating to participate in Clearstream’s strategic evolution as it continues to influence the changes and new norms in the financial industry. The flexibility and ability to adapt to new situations inspires and energises me, hence my goal is to remain in the Group and expand my experiences in this fast-changing environment.

Crystal structures from another source follow
____________
This entry pairs a crystal structure of MgFe4Sb4S4 with its computed PXRD pattern. Radiation: Cu Ka. Structure: a crystal structure in the Materials Project, relaxed with PBE.

Main lines, in order of rising 2θ (2θ = 10–80°):
h k l, 2θ/deg, d/Å, I/Imax
0 0 1, 14.7, 6.040, 46
1 0 2, 32.9, 2.725, 98
1 0 -2, 33.6, 2.670, 48
1 2 0, 33.9, 2.643, 62
2 1 1, 34.1, 2.628, 100
-2 1 1, 35.0, 2.565, 75
-1 1 3, 45.3, 2.003, 49
0 2 -2, 50.4, 1.812, 37
3 -1 1, 52.1, 1.756, 39
3 1 -1, 52.6, 1.739, 43

Crystal structure
```
data_MgFe4Sb4S4
_symmetry_space_group_name_H-M 'P -1'
_symmetry_Int_Tables_number 2
_symmetry_space_group_name_Hall '-P 1'
_cell_length_a 5.9852
_cell_length_b 6.2682
_cell_length_c 6.4486
_cell_angle_alpha 69.53
_cell_angle_beta 88.30
_cell_angle_gamma 89.05
loop_
_atom_site_label
_atom_site_type_symbol
_atom_site_fract_x
_atom_site_fract_y
_atom_site_fract_z
Mg1 Mg 0.0000 0.0000 0.0000
Fe1 Fe 0.0124 0.7127 0.7959
Fe2 Fe 0.4858 0.2197 0.7871
Sb1 Sb 0.1688 0.8642 0.4065
Sb2 Sb 0.3576 0.3679 0.3557
S1 S 0.1573 0.3675 0.8556
S2 S 0.3697 0.8396 0.8743
```

This entry pairs a crystal structure of Sm2TlI5 with its computed PXRD pattern. Radiation: Cu Ka. Structure: a crystal structure in the Materials Project, relaxed with PBE.

Main lines, in order of rising 2θ (2θ = 10–80°):
h k l, 2θ/deg, d/Å, I/Imax
0 1 4, 27.2, 3.280, 42
2 1 -3, 28.1, 3.175, 32
0 2 3, 28.2, 3.163, 21
2 2 -1, 28.6, 3.123, 100
2 2 1, 28.7, 3.106, 68
2 2 -2, 30.5, 2.928, 39
2 0 -4, 30.9, 2.896, 74
2 0 4, 31.5, 2.838, 42
0 3 1, 32.2, 2.777, 38
4 0 0, 37.1, 2.421, 50

Crystal structure
```
data_Sm2TlI5
_symmetry_space_group_name_H-M 'P 1 21/c 1'
_symmetry_Int_Tables_number 14
_symmetry_space_group_name_Hall '-P 2ybc'
_cell_length_a 9.6885
_cell_length_b 8.4930
_cell_length_c 14.2243
_cell_angle_alpha 90.00
_cell_angle_beta 91.20
_cell_angle_gamma 90.00
loop_
_atom_site_label
_atom_site_type_symbol
_atom_site_fract_x
_atom_site_fract_y
_atom_site_fract_z
Sm1 Sm 0.0108 0.0503 0.1712
Sm2 Sm 0.2424 0.0877 0.5077
Tl1 Tl 0.4895 0.0631 0.1680
I1 I 0.0395 0.6644 0.1056
I2 I 0.2159 0.6574 0.8237
I3 I 0.2176 0.0349 0.9979
I4 I 0.2263 0.1763 0.7241
I5 I 0.4703 0.6583 0.0913
```

This entry pairs a crystal structure of FeTe2 with its computed PXRD pattern. Radiation: Cu Ka. Structure: a crystal structure in the Materials Project, relaxed with PBE.

Main lines, in order of rising 2θ (2θ = 10–80°):
h k l, 2θ/deg, d/Å, I/Imax
0 0 1, 15.2, 5.840, 9
0 0 2, 30.6, 2.920, 13
1 0 1, 31.5, 2.838, 100
1 0 2, 41.6, 2.171, 32
1 1 0, 48.6, 1.875, 28
0 1 3, 55.0, 1.670, 21
1 1 2, 58.5, 1.577, 13
0 2 1, 59.1, 1.564, 16
2 0 3, 76.4, 1.247, 8
2 1 1, 79.9, 1.201, 13

Crystal structure
```
data_FeTe2
_symmetry_space_group_name_H-M 'P -3 m 1'
_symmetry_Int_Tables_number 164
_symmetry_space_group_name_Hall '-P 3 2"'
_cell_length_a 3.7491
_cell_length_b 3.7491
_cell_length_c 5.8398
_cell_angle_alpha 90.00
_cell_angle_beta 90.00
_cell_angle_gamma 120.00
loop_
_atom_site_label
_atom_site_type_symbol
____________

What are your working-day essentials? 

My day on site here at The Square starts in our cafeteria. Bruno, one of our Aramark chefs, makes the most delicious scrambled eggs.

While enjoying my breakfast, I like to read about the activities of colleagues in other locations. Keeping informed with the Intranet and Yammer gives me a sense of security and belonging to a community. 

No. 1
Calculated powder X-ray diffraction pattern of CaV4Co3O12 for Cu Kα, from a cell relaxed with PBE+U.
Neutral-atom scattering factors, no anomalous dispersion.

Structure:
```
20
Lattice="6.433 0.000 0.000 -2.118 6.100 0.000 -2.155 -3.034 5.277" Properties=species:S:1:pos:R:3 pbc="T T T"
Ca 0.000 0.000 0.000
V -1.078 -1.517 2.638
V -1.059 3.050 0.000
V 3.217 0.000 0.000
V 1.080 1.533 2.638
Co -2.137 1.533 2.638
Co 2.139 -1.517 2.638
Co 2.158 3.050 0.000
O -1.660 4.078 1.609
O -2.201 1.581 4.646
O -0.458 0.359 2.550
O 0.473 2.402 0.948
O -0.056 -1.783 4.322
O 2.060 0.217 1.586
O 0.100 2.849 3.691
O 2.216 4.849 0.955
O 1.687 0.664 4.329
O 2.618 2.707 2.727
O 4.361 1.485 0.631
O 3.820 -1.012 3.668
```

Largest 12 diffraction maxima, low angle first, 10° ≤ 2θ ≤ 90°:
2.640 Å, I 100; 2.633 Å, I 65; 2.626 Å, I 32; 1.868 Å, I 21; 1.861 Å, I 41; 1.526 Å, I 25; 1.522 Å, I 40; 1.519 Å, I 16; 1.516 Å, I 16; 1.319 Å, I 9; 1.317 Å, I 9; 1.180 Å, I 8


No. 2
Calculated powder X-ray diffraction pattern of CaV4Co3O12 for Cu Kα, from a cell relaxed with PBE+U.
Neutral-atom scattering factors, no anomalous dispersion.

Structure:
```
40
Lattice="6.440 0.000 0.000 2.182 6.103 0.000 0.097 0.017 10.555" Properties=species:S:1:pos:R:3 pbc="T T T"
Ca 2.179 1.550 2.649
Ca 6.540 4.571 7.906
V 1.091 3.052 0.000
V 1.139 3.060 5.278
V 3.258 4.582 2.649
V 3.320 4.583 7.920
V 3.220 0.000 0.000
V 3.268 0.009 5.278
V 5.399 1.538 2.636
V 5.461 1.539 7.906
Co 0.000 0.000 0.000
Co 0.048 0.009 5.278
Co 2.207 1.539 7.896
Co 4.311 3.052 0.000
Co 4.359 3.060 5.278
Co 6.512 4.581 2.659
O 0.158 0.015 3.231
O 1.683 3.946 1.666
O 2.205 4.402 9.459
O 2.174 3.314 6.917
O 1.664 1.187 5.177
O 2.738 3.530 4.204
O 3.876 5.626 1.017
O 2.629 1.927 0.115
O 4.462 5.882 8.873
O 4.389 4.806 6.373
O 4.885 5.266 3.684
O 4.284 3.080 2.018
O 4.435 3.041 8.537
O 3.834 0.855 6.871
O 4.330 1.315 4.182
O 4.257 0.239 1.682
O 6.090 4.193 10.440
O 4.843 0.495 9.538
O 5.981 2.591 6.351
O 7.055 4.933 5.378
O 6.545 2.807 3.638
O 6.514 1.718 1.096
O 7.036 2.175 8.890
O 8.561 6.105 7.325
```

Largest 12 diffraction maxima, low angle first, 10° ≤ 2θ ≤ 90°:
2.640 Å, I 100; 2.620 Å, I 19; 2.355 Å, I 4; 1.875 Å, I 13; 1.860 Å, I 24; 1.530 Å, I 5; 1.526 Å, I 20; 1.523 Å, I 15; 1.517 Å, I 19; 1.320 Å, I 11; 1.185 Å, I 4; 1.177 Å, I 5


No. 3
Calculated powder X-ray diffraction pattern of CaV4Co3O12 for Cu Kα, from a cell relaxed with PBE+U.
Neutral-atom scattering factors, no anomalous dispersion.

Structure:
```
40
Lattice="7.451 0.000 0.000 0.060 7.451 0.000 0.027 0.038 7.473" Properties=species:S:1:pos:R:3 pbc="T T T"
Ca 0.000 0.000 0.000
Ca 3.746 3.747 3.756
V 1.878 1.906 5.618
V 1.870 1.877 1.880
V 1.916 5.626 5.602
V 1.917 5.604 1.873
V 5.600 1.892 5.619
V 5.597 1.870 1.891
V 5.633 5.589 1.875
V 5.645 5.616 5.612
Co 7.492 3.754 3.753
Co 0.036 3.731 0.012
Co 3.772 7.468 3.749
Co 3.794 7.486 7.458
Co 3.739 3.731 0.008
Co 7.454 0.020 3.748
O 0.041 2.239 1.384
O 0.065 2.249 6.115
O 1.352 0.015 2.267

Water and tea – I could never survive without them. I truly believe proper hydration helps me concentrate better, so I always have a glass of water or a cup of tea in my hands. 

-- begin --
Starting from a PBE+U-relaxed structure, the X-ray powder pattern of PrHoMo2O8 was computed for Cu Kα, 1.54184 Å.
Lines closer than 0.1° are merged.

Crystal structure
a b c (Å): 6.7894 6.7894 6.7894
angles (deg): 133.85 133.85 67.32
Element x y z (fractional)
Pr (0.0000, 0.0000, 0.0000)
Ho (0.2500, 0.7500, 0.5000)
Mo (0.5000, 0.5000, 0.0000)
Mo (0.7500, 0.2500, 0.5000)
O (0.0262, 0.0759, 0.4261)
O (0.2453, 0.6454, 0.0661)
O (0.3546, 0.4208, 0.6000)
O (0.3999, 0.9738, 0.0497)
O (0.5792, 0.1792, 0.9339)
O (0.6498, 0.6001, 0.5739)
O (0.8208, 0.7547, 0.4000)
O (0.9241, 0.3502, 0.9503)

Main lines, most intense first (2θ = 10–90°):
2θ 28.50, I 100; 2θ 46.90, I 31; 2θ 57.11, I 28; 2θ 33.68, I 20; 2θ 54.47, I 16; 2θ 48.38, I 15; 2θ 31.67, I 13; 2θ 75.80, I 12; 2θ 58.98, I 11; 2θ 89.33, I 9; 2θ 76.31, I 6; 2θ 78.03, I 6

* * * * *

(1)
# TbCo4Si2
Simulated powder X-ray diffraction pattern, Cu Kα, 1.54184 Å. Input: a cell relaxed with GGA-PBE.

Largest 10 diffraction maxima, low angle first, 15° ≤ 2θ ≤ 90°:
Position (°2θ), I_rel, h k l
24.87, 20, 2 0 0
27.70, 23, 1 0 1
37.57, 100, 2 1 1
39.81, 47, 3 1 0
43.69, 22, 2 2 1
47.41, 24, 3 1 1
50.63, 19, 0 0 2
59.04, 19, 4 1 1
66.27, 20, 3 1 2
70.80, 25, 4 3 1

Crystal structure
```
data_TbCo4Si2
_chemical_formula_sum 'Tb2 Co8 Si4'
_symmetry_space_group_name_H-M 'P 42/m n m'
_symmetry_Int_Tables_number 136
_symmetry_space_group_name_Hall '-P 4n 2n'
_cell_length_a 7.160
_cell_length_b 7.160
_cell_length_c 3.606
_cell_angle_alpha 90.00
_cell_angle_beta 90.00
_cell_angle_gamma 90.00
loop_
_atom_site_label
_atom_site_type_symbol
_atom_site_fract_x
_atom_site_fract_y
_atom_site_fract_z
Tb1 Tb 0.000 0.000 0.000
Co1 Co 0.080 0.348 0.500
Si1 Si 0.225 0.775 0.500
```

***

(2)
# LuPaV2
Simulated powder X-ray diffraction pattern, Cu Kα, 1.54184 Å. Input: a cell relaxed with GGA-PBE.

Largest 10 diffraction maxima, low angle first, 15° ≤ 2θ ≤ 90°:
Position (°2θ), I_rel, h k l
20.35, 45, 0 0 6
32.42, 42, 0 1 2
34.58, 100, 1 0 4
41.39, 19, 0 0 12
42.26, 56, 0 1 8
47.34, 17, 1 0 10
56.42, 25, 1 1 0
60.61, 16, 1 1 6
67.89, 14, 0 2 4
72.34, 22, 1 1 12

Crystal structure
```
data_LuPaV2
_chemical_formula_sum 'Lu3 Pa3 V6'
_symmetry_space_group_name_H-M 'R -3 m'
_symmetry_Int_Tables_number 166
_symmetry_space_group_name_Hall '-R 3 2"'
_cell_length_a 3.2619
_cell_length_b 3.2619
_cell_length_c 26.1790
_cell_angle_alpha 90.00
_cell_angle_beta 90.00
_cell_angle_gamma 120.00
loop_
_atom_site_label
_atom_site_type_symbol
_atom_site_fract_x
_atom_site_fract_y
_atom_site_fract_z
Lu1 Lu 0.0000 0.0000 0.0000
Pa1 Pa 0.0000 0.0000 0.5000
V1 V 0.0000 0.0000 0.2412
```

***

(3)
# La4Nd3
Simulated powder X-ray diffraction pattern, Cu Kα, 1.54184 Å. Input: a cell relaxed with GGA-PBE.

Largest 10 diffraction maxima, low angle first, 15° ≤ 2θ ≤ 90°:
Position (°2θ), I_rel, h k l
29.48, 100, 1 1 0
34.17, 51, 1 0 7
49.10, 36, 2 0 0
58.29, 29, 2 1 7
58.36, 14, 1 1 14
61.18, 13, 2 2 0
72.02, 4, 2 0 14
79.61, 15, 3 1 0
82.09, 8, 3 0 7
-- stop --
# So much for the crystal structures

Why did you choose Clearstream and Deutsche Börse Group as employer? 

Soon after I finished my studies, I met with a friend who spoke highly of Luxembourg and Clearstream, so I decided to apply for an internship. At first, I didn’t understand much about the company, but I was impressed by its presence across multiple locations worldwide and importance in the market. Also, when I had the interview on site, I felt that it was a friendly, open and welcoming company, so I accepted the offer without hesitation!